Many homeowners plan their summer gardens based on visuals— colors, size, and foliage—but neglect the sense of smell. The fragrance your garden creates can add so much to the overall experience! Some fragrant flowers are also great for cutting and indoor bouquets, to being the outside indoors.
Record 1
First-principles (PBE-GGA) data for an optimized crystal structure of K3Ta2Cu3S8, as listed in the Materials Project.

abc: 12.213 12.213 14.467
angles: 119.51 119.51 26.39
Element x y z (fractional)
K1 0.000 0.000 0.000
K2 0.000 0.000 0.500
K3 0.271 0.347 0.906
K4 0.347 0.271 0.406
K5 0.653 0.729 0.594
K6 0.729 0.653 0.094
Ta1 0.156 0.592 0.220
Ta2 0.408 0.844 0.280
Ta3 0.592 0.156 0.720
Ta4 0.844 0.408 0.780
Cu1 0.095 0.659 0.718
Cu2 0.278 0.722 0.250
Cu3 0.341 0.905 0.782
Cu4 0.659 0.095 0.218
Cu5 0.722 0.278 0.750
Cu6 0.905 0.341 0.282
S1 0.042 0.139 0.873
S2 0.127 0.187 0.688
S3 0.139 0.042 0.373
S4 0.187 0.127 0.188
S5 0.260 0.320 0.610
S6 0.320 0.260 0.110
S7 0.442 0.479 0.839
S8 0.479 0.442 0.339
S9 0.521 0.558 0.661
S10 0.558 0.521 0.161
S11 0.680 0.740 0.890
S12 0.740 0.680 0.390
S13 0.813 0.873 0.812
S14 0.861 0.958 0.627
S15 0.873 0.813 0.312
S16 0.958 0.861 0.127

Output
space group	C2/c, No. 15
formation enthalpy at 0 K	-1229	meV/atom

Record 2
First-principles (PBE-GGA) data for an optimized crystal structure of KThCuS3, as listed in the Materials Project.

abc: 7.352 7.352 10.588
angles: 90.00 90.00 147.69
Element x y z (fractional)
K1 0.244 0.756 0.750
K2 0.756 0.244 0.250
Th1 0.500 0.500 0.000
Th2 0.500 0.500 0.500
Cu1 0.030 0.970 0.250
Cu2 0.970 0.030 0.750
S1 0.124 0.876 0.069
S2 0.124 0.876 0.431
S3 0.436 0.564 0.250
S4 0.564 0.436 0.750
S5 0.876 0.124 0.569
S6 0.876 0.124 0.931

Output
space group	Cmcm, No. 63
M_tot	0.00	μB per formula unit
formation enthalpy at 0 K	-1723	meV/atom

Record 3
First-principles (PBE-GGA) data for an optimized crystal structure of K2ThCu2S4, as listed in the Materials Project.

abc: 7.542 7.542 7.622
angles: 109.18 109.18 30.93
Element x y z (fractional)
K1 0.138 0.138 0.066
K2 0.862 0.862 0.934
Th1 0.000 0.000 0.500
Cu1 0.319 0.319 0.512
Cu2 0.681 0.681 0.488
S1 0.202 0.202 0.674
S2 0.478 0.478 0.738
S3 0.522 0.522 0.262
S4 0.798 0.798 0.326

Output
space group	C2/m, No. 12
M_tot	0.00	μB per formula unit
formation enthalpy at 0 K	-1446	meV/atom

Record 4
First-principles (PBE-GGA) data for an optimized crystal structure of K3Th2Cu3S7, as listed in the Materials Project.

abc: 7.416 7.416 24.759
angles: 90.00 90.00 148.16
Element x y z (fractional)
K1 0.046 0.954 0.562
K2 0.046 0.954 0.938
K3 0.431 0.569 0.250
K4 0.569 0.431 0.750
K5 0.954 0.046 0.062
K6 0.954 0.046 0.438
Th1 0.309 0.691 0.642
Th2 0.309 0.691 0.858
Th3 0.691 0.309 0.142
Th4 0.691 0.309 0.358
Cu1 0.159 0.841 0.250
Cu2 0.237 0.763 0.038
Cu3 0.237 0.763 0.462
Cu4 0.763 0.237 0.538
Cu5 0.763 0.237 0.962
Cu6 0.841 0.159 0.750
S1 0.067 0.933 0.173
S2 0.067 0.933 0.327
S3 0.249 0.751 0.750
S4 0.318 0.682 0.120
S5 0.318 0.682 0.380
S6 0.357 0.643 0.533
S7 0.357 0.643 0.967
S8 0.643 0.357 0.033
S9 0.643 0.357 0.467
S10 0.682 0.318 0.620
S11 0.682 0.318 0.880
S12 0.751 0.249 0.250
S13 0.933 0.067 0.673
S14 0.933 0.067 0.827

Output
space group	Cmcm, No. 63
M_tot	0.00	μB per formula unit
formation enthalpy at 0 K	-1556	meV/atom
Depending on your climate zone, you can plant scent-producing flowers that perfume the days or the nights, bloom early in the season, throughout the summer, or into the fall. Here are some sweet smelling options for your fragrant garden:
Small blooms
Material: Co3Bi
Method: DFT, PBE-GGA
State: relaxed

- Energy of formation from the pure elements: 427 meV per atom
- Size of the total moment: 5.9 μB per cell

Unit cell a=3.8632 b=3.8632 c=7.5230 alpha=90.00 beta=90.00 gamma=90.00
Closest atoms and distances in Å follow each position.
Space group I4/mmm (No. 139)
One atom of each set of equivalent atoms:
Co 0.0000 0.0000 0.0000 x2  8 Co 2.70, 4 Bi 2.73
Co 0.0000 0.5000 0.2500 x4  4 Bi 2.70, 8 Co 2.70-2.73
Bi 0.0000 0.0000 0.5000 x2  12 Co 2.70-2.73

---

Material: Mo3Se4S2
Method: DFT, PBE-GGA
State: relaxed

- Energy of formation from the pure elements: -837 meV per atom
- E (MP2020): -0.5090 Ry per atom

Unit cell a=3.2784 b=3.2784 c=30.1445 alpha=90.00 beta=90.00 gamma=120.00
Closest atoms and distances in Å follow each position.
Space group P-6m2 (No. 187)
One atom of each set of equivalent atoms:
Mo 0.0000 0.0000 0.0000 x1  6 S 2.44
Mo 0.6667 0.3333 0.2313 x2  6 Se 2.54
Se 0.0000 0.0000 0.1753 x2  3 Mo 2.54
Se 0.0000 0.0000 0.2874 x2  3 Mo 2.54
S 0.6667 0.3333 0.0509 x2  3 Mo 2.44

---

Material: In2Ni6C
Method: DFT, PBE-GGA
State: relaxed

- Energy of formation from the pure elements: -56 meV per atom
- Size of the total moment: 0.4 μB per cell

Unit cell a=3.8368 b=3.8368 c=7.5058 alpha=90.00 beta=90.00 gamma=90.00
Closest atoms and distances in Å follow each position.
Space group P4/mmm (No. 123)
One atom of each set of equivalent atoms:
In 0.0000 0.0000 0.2388 x2  12 Ni 2.63-2.74
Ni 0.0000 0.5000 0.0000 x2  4 In 2.63, 8 Ni 2.67-2.71
Ni 0.0000 0.5000 0.5000 x2  2 C 1.92
Ni 0.5000 0.5000 0.2467 x2  1 C 1.90
C 0.5000 0.5000 0.5000 x1  6 Ni 1.90-1.92

---

Material: Tb3Mn3Ga2Si
Method: DFT, PBE-GGA
State: relaxed

- Energy of formation from the pure elements: -327 meV per atom
- Size of the total moment: 9.7 μB per cell
- E (MP2020): -0.4558 Ry per atom

Unit cell a=7.0114 b=7.0114 c=4.1806 alpha=90.00 beta=90.00 gamma=120.00
Closest atoms and distances in Å follow each position.
Space group P-6 (No. 174)
One atom of each set of equivalent atoms:
Tb 0.0030 0.5824 0.0000 x3  3 Ga 2.94-2.98, 2 Si 2.95, 4 Mn 3.20-3.24
Mn 0.0114 0.2415 0.5000 x3  3 Ga 2.67-2.80, 1 Si 2.69, 2 Mn 2.87
Ga 0.0000 0.0000 0.0000 x1  6 Mn 2.67, 3 Tb 2.94
Ga 0.6667 0.3333 0.5000 x1  3 Mn 2.80, 6 Tb 2.98
Si 0.3333 0.6667 0.5000 x1  3 Mn 2.69, 6 Tb 2.95

---

Material: NaMnCuSe2
Method: DFT, PBE-GGA
State: relaxed

- Energy of formation from the pure elements: -757 meV per atom
- Size of the total moment: 5.0 μB per cell
- Largest piezoelectric modulus: 0.4 C/m²
- E (MP2020): -0.3728 Ry per atom

Unit cell a=4.1355 b=4.1355 c=7.1932 alpha=90.00 beta=90.00 gamma=120.00
Closest atoms and distances in Å follow each position.
Space group P3m1 (No. 156)
One atom of each set of equivalent atoms:
Na 0.0000 0.0000 0.0000 x1  6 Se 3.00-3.08
Mn 0.6667 0.3333 0.4046 x1  4 Se 2.47-2.58
Cu 0.3333 0.6667 0.6381 x1  4 Se 2.51-2.65
Se 0.3333 0.6667 0.2700 x1  3 Mn 2.58, 1 Cu 2.65
Se 0.6667 0.3333 0.7477 x1  1 Mn 2.47, 3 Cu 2.51

---
-- The page goes on --
Lavender — A hardy fragrant plant that swells the breezes in Provence with its delicate scent. It thrives in well-drained soil and sunny locations. Available in many different types, mixed in with other perennials or planted along a front walk to perfume your entryway. Lavender also can be dried successfully for sachets and decorations in the colder seasons.(right)
Sweet Alyssum – A low-growing, fragrant flowering plant that is available in several pretty colors. Alyssum only reaches six inches high and grows to about a foot wide. It works well as a border, in rock gardens, or in small pots or window boxes.
Heliotrope – A richly scented cluster of tiny flowers available in purple, pink and white, heliotrope provides scents compared to vanilla, cherry pie and grapes. (pictured left)
Night blooms
Nicotiana – A relative of tobacco, nicotiana features fuzzy leaves and white, star shaped trumpet. This plant is best if sourced from old-fashioned varieties. The blooms produce a strong, sweet fragrance at night. A hardy perennial, this fragrant plant will last for many years, and is known for attracting hummingbirds. (right)
Silver Artemisia — Featuring white flowers and silvery foliage, these night bloomers are best enjoyed by moonlight.
Evening Stock – This plant’s small petalled lavender or white flowers, and relatively low stature belie a rewarding evening perfume, comparable to spice, vanilla, or roses. This night flower is easy to grow from seeds and requires little maintenance.(left)
Big Blooms
Roses – The empress of the garden, roses provide beautiful color, variety and in many cases beautiful scent. Roses can be challenging to grow, so check with your local garden center for hardy, scented types to start with. (right)
Peonies – A hardy perennial, peonies are the early summer show-stoppers with large, fragrant blooms in a multitude of colors. Peony tubers are planted in the late summer or fall, then regenerate late spring into lush leafy plants with large (4-6 inches) blooms, in both single and double configurations. Peonies can require wire cages for support as the blooms tend to be top-heavy. The cages are insert into the grounds just as the foliage starts to appear, then guided through the grid to support the blooms. (bottom left)
Oriental Lilies – These large and colorful flowers can perfume an entire garden on their own. With waxy, lush petals, riotous colors and multiple blossom stems, Lilies can be quite rewarding. (bottom right)
What comes next are crystal structures, not part of the piece =
........
Co4GeP4H12O22: relaxed, GGA+U.

As for the space group: P2_1/c. Its MP2020-corrected energy is -6.56 eV per atom. The formation energy comes out at -1811 meV/atom.

a = 6.5343 Å, b = 7.6254 Å, c = 16.5611 Å
α = 90.00°, β = 90.00°, γ = 97.62°
Positions (direct):
Co: 0.8065 0.2366 0.3546
Co: 0.3065 0.7366 0.1454
Co: 0.1935 0.7634 0.6454
Co: 0.6935 0.2634 0.8546
Co: 0.5681 0.4728 0.2320
Co: 0.0681 0.9728 0.2680
Co: 0.4319 0.5272 0.7680
Co: 0.9319 0.0272 0.7320
Ge: 0.5000 0.0000 0.5000
Ge: 0.0000 0.5000 0.0000
P: 0.3226 0.2803 0.3893
P: 0.8226 0.7803 0.1107
P: 0.6774 0.7197 0.6107
P: 0.1774 0.2197 0.8893
P: 0.5415 0.8688 0.3115
P: 0.0415 0.3688 0.1885
P: 0.4585 0.1312 0.6885
P: 0.9585 0.6312 0.8115
H: 0.5962 0.3302 0.0940
H: 0.0962 0.8302 0.4060
H: 0.4038 0.6698 0.9060
H: 0.9038 0.1698 0.5940
H: 0.5718 0.1641 0.1515
H: 0.0718 0.6641 0.3485
H: 0.4282 0.8359 0.8485
H: 0.9282 0.3359 0.6515
H: 0.7772 0.4928 0.4861
H: 0.2772 0.9928 0.0139
H: 0.2228 0.5072 0.5139
H: 0.7228 0.0072 0.9861
H: 0.7550 0.5697 0.3993
H: 0.2550 0.0697 0.1007
H: 0.2450 0.4303 0.6007
H: 0.7450 0.9303 0.8993
H: 0.7601 0.2330 0.4982
H: 0.2601 0.7330 0.0018
H: 0.2399 0.7670 0.5018
H: 0.7399 0.2670 0.9982
H: 0.4021 0.5656 0.3756
H: 0.9021 0.0656 0.1244
H: 0.5979 0.4344 0.6244
H: 0.0979 0.9344 0.8756
O: 0.5289 0.2811 0.1433
O: 0.0289 0.7811 0.3567
O: 0.4711 0.7189 0.8567
O: 0.9711 0.2189 0.6433
O: 0.8209 0.4812 0.4294
O: 0.3209 0.9812 0.0706
O: 0.1791 0.5188 0.5706
O: 0.6791 0.0188 0.9294
O: 0.1192 0.1807 0.3569
O: 0.6192 0.6807 0.1431
O: 0.8808 0.8193 0.6431
O: 0.3808 0.3193 0.8569
O: 0.5014 0.2860 0.3281
O: 0.0014 0.7860 0.1719
O: 0.4986 0.7140 0.6719
O: 0.9986 0.2140 0.8281
O: 0.5724 0.6692 0.3182
O: 0.0724 0.1692 0.1818
O: 0.4276 0.3308 0.6818
O: 0.9276 0.8308 0.8182
O: 0.7459 0.9912 0.2952
O: 0.2459 0.4912 0.2048
O: 0.2541 0.0088 0.7048
O: 0.7541 0.5088 0.7952
O: 0.8753 0.3963 0.2538
O: 0.3753 0.8963 0.2462
O: 0.1247 0.6037 0.7462
O: 0.6247 0.1037 0.7538
O: 0.7620 0.1201 0.4709
O: 0.2620 0.6201 0.0291
O: 0.2380 0.8799 0.5291
O: 0.7380 0.3799 0.9709
O: 0.2903 0.4832 0.4062
O: 0.7903 0.9832 0.0938
O: 0.7097 0.5168 0.5938
O: 0.2097 0.0168 0.9062
O: 0.3791 0.2123 0.4737
O: 0.8791 0.7123 0.0263
O: 0.6209 0.7877 0.5263
O: 0.1209 0.2877 0.9737
O: 0.4437 0.9141 0.3939
O: 0.9437 0.4141 0.1061
O: 0.5563 0.0859 0.6061
O: 0.0563 0.5859 0.8939
........
These options are just a few of the many varieties of flowers known for their fragrance. When shopping for seeds, plants or tubers, make sure to ask whether the variety is scented. Many newer hybrids are not scented, but concentrate their beauty on colors.